Sunday, November 27, 2011

Thursday, November 17, 2011

5 years :-)

Ahhhh! I don't have my pics here, so I'll have to update later, but Joey and I celebrated our 5 year anniversary. Sometimes I think it went fast, sometimes I think it's taken forever...haha jk! It's been an awesome 5 years...we've made our house a home, taken a lot of vacations (w/ and w/o family), had our first kiddo, watched friends get married and start their own families, and learned a lot.

In honor of our 5 years, here are five things you may not know about Joey:
1. He steals the covers and won't admit it.
2. I think he really loves his car.
3. He does bath time with Juliette every night...even after a long day.
4. He has owed me a foot rub for about a year.
5. Joey thinks he is/wants to be the character Jeff, from Rules of Engagement

And to be fair, 5 things you may not know about me:
1. People drinking loud makes me cringe...always. Joey drinks loud.
2. I am usually late getting home from work, Joey adds at least 30 minutes to what I say.
3. I should probably shower more, but it's just not worth my time...
4. The theme song to Psych make me happy every time I hear it
5. I usually do the cooking, but Joey does the cleaning

There is your random post :-) I LOVE YOU JOEY!!!

Wednesday, November 16, 2011

oh yeah, we're having another baby...and it's a boy

I did drop a hint in the Halloween post, but just to clarify...Juliette is going to be a big sister to a little baby boy come March! We're very excited, as this time was not a stressful process like with Juliette. We're also excited for a little boy...Juliette can stay the princess and JOey has some to play legos with :-)

Juliette picked out some nice Mickey onesies for the baby and and is very excited. He is currently named Butter...NOT like she's saying "brother" wrong, just Butter. I kinda like it...

Friday, November 11, 2011


Ok, so the night I have been talking about for almost a year...barely took any pics :-( It was a super fun night though! I had a little party for myself at the Green Mill (where else?). WE had the back room to ourselves and I think people had a nice little Happy Hours. I even enjoyed a glass of wine (doctors orders!!), so that was really nice! Here are the few pics I did take...

cake pops I made :-) yes, i am 32

instead of presents for me, i asked people to bring books to donate to children's hospital

quick pic of juliette having fun at the party

on the 12th we had our traditional Ichiban's dinner...can't find the pic from the restaurant, but the after party at noelle and rian's included tahitian treat and pudding pops. solid.

Tuesday, November 8, 2011


I hadn't really explained to Juliette what we were going to do in the morning (go vote). So when we were walking in to vote, I just asked her, "Who are you going to vote for?" She said "gramma"...probably a good choice!

# Unrelated to this page: materials data
<<<
[1]
TaZnPt2 | PBE | optimized geometry

Cell lengths 3.983, 3.983, 3.982 Å; angles 90.00, 90.00, 90.00 degrees
Space group P4/mmm (No. 123)
Asymmetric unit:
1 Ta 0.000 0.000 0.000 (multiplicity 1)
2 Zn 0.500 0.500 0.000 (multiplicity 1)
3 Pt 0.000 0.500 0.500 (multiplicity 2)

E_tot in eV/atom: -6.669
Theoretical density in g/cm3: 16.733
N(E_F) in states/eV per atom: 0.6813
E_form in meV/atom: -367

***

[2]
TaZn2Pt | PBE | optimized geometry

Cell lengths 2.799, 3.766, 5.890 Å; angles 90.00, 90.00, 90.00 degrees
Space group Pmmm (No. 47)
Asymmetric unit:
1 Ta 0.000 0.000 0.000 (multiplicity 1)
2 Zn 0.500 0.500 0.269 (multiplicity 2)
3 Pt 0.000 0.000 0.500 (multiplicity 1)

E_tot in eV/atom: -5.279
Theoretical density in g/cm3: 13.558
E above lowest polymorph in meV per atom: 156.7
N(E_F) in states/eV per atom: 0.4390
E_form in meV/atom: -168
>>>

I voted...did you?

Saturday, November 5, 2011

french braid :-)

i can't belive she sat long enough to let me do this...